y son graduated from high school a few months ago. As any parent knows, the final year of high school is consumed with countless senior class activities. And as any parent of a senior knows, most of these activities are a direct ?hit? on the parental wallet. You?ve been supporting this person for all these years, clearly anticipating him getting a little thing called a job.
One of the senior year rituals my wife and I performed over the past months was touring the campuses of prospective colleges with our son. This was an education in itself. In addition to learning that you can go bankrupt trying to underwrite a college education, we noticed that the academic requirements for getting into many colleges have been rising along with the costs. Colleges are becoming increasingly selective about whom they let in. They are steadily raising the bar for admission.
This raising of the academic bar is also happening in grade schools, as there is an increasingly higher level of proficiency students are expected to reach. All of this got me thinking (not surprisingly) about the frontline church. Do we need to raise the bar for membership?
Consider this: The bar is set high to get into the Adventist Church. At baptism prospective members have to assent to a number of life-changing biblical requirements before stepping into the pool. But once they?ve dried off, a new member can pretty much take his or her membership for granted. Nothing is really expected or demanded once you become a member. Just look around the next time you?re at church and notice the number of members doing little or nothing to contribute to the ?body.? Many churches are filled with consumers, but very few producers.
Some years ago the credit card company American Express, in attempting to differentiate itself from its competitors, came up with a slogan geared to create an air of exclusivity for those who carried its card. American Express card carriers were called ?members,? thus the slogan: ?Membership has its privileges.? Well, in the frontline church, membership has its privileges, but it also has its responsibilities.
A few years ago I noticed our church was filling up fast. We were getting a great crowd on Sabbath mornings. On many weekends we experienced capacity crowds. Crowds can lull you into thinking that the church is successful and doing well. The money is coming in, the place is full, and everyone is happy; of course we?re doing well! It dawned on me that notwithstanding all the so-called success indicators, we were evolving into a crowded church full of spectators. They were taking it all in, but not giving much back. That?s when my associate pastor and I went to our knees in our growing discomfort with what we were seeing.
The Lord showed us that we needed to raise the bar for membership in our church. So standing on the spiritual authority and responsibility that God had given us, we informed the congregation that we were raising the bar for membership for those who were members of this particular congregation. We made it clear that just being part of the crowd was no longer good enough. Each member was expected to be involved in at least two ministries: an in-reach ministry focusing on the ?body? itself and an outreach ministry focused on the community.
Over a two-month period we met with each member of the congregation (youth included) to ensure that each person had found their place to serve. We shared that if a member did not find ministries they were passionate about, they could develop their own. It was amazing to see what happened when we raised the bar and held members accountable for their membership. Overnight (or so it seemed) we moved at least 90 percent of our congregation into active ministry.
Some time later I read that in churches that are growing, members are held accountable to high standards of membership. This goes far past doctrinal standards; it goes straight to the heart of what Paul talked about in 1 Corinthians 14 when he raised the bar for membership, mandating that each member of the body be a functional member.
These records of crystals were left in the article by mistake:
+++
Entry 1:
Density functional theory data (PBE) for a relaxed structure of Na10Y7TaSi6S6O48.

a = 9.349 Å, b = 16.158 Å, c = 23.510 Å
α = 90.14°, β = 90.14°, γ = 90.10°
Space group P1 (No. 1)
Symmetry-distinct sites (fractional):
Na: 0.000 0.000 0.000
Na: 0.000 0.667 0.348
Na: 0.008 0.322 0.676
Na: 0.044 0.986 0.346
Na: 0.053 0.673 0.007
Na: 0.058 0.308 0.991
Na: 0.178 0.185 0.506
Na: 0.203 0.166 0.832
Na: 0.315 0.325 0.429
Na: 0.333 0.010 0.758
Na: 0.347 0.351 0.917
Na: 0.358 0.645 0.092
Na: 0.358 0.995 0.257
Na: 0.367 0.667 0.597
Na: 0.488 0.502 0.010
Na: 0.504 0.160 0.341
Na: 0.504 0.824 0.664
Na: 0.535 0.809 0.009
Na: 0.541 0.169 0.010
Na: 0.543 0.829 0.342
Na: 0.674 0.639 0.177
Na: 0.675 0.685 0.509
Na: 0.692 0.304 0.517
Na: 0.712 0.001 0.503
Na: 0.818 0.488 0.260
Na: 0.822 0.509 0.761
Na: 0.860 0.831 0.420
Na: 0.873 0.151 0.089
Na: 0.874 0.168 0.598
Na: 0.874 0.844 0.924
Y: 0.353 0.322 0.575
Y: 0.358 0.335 0.076
Y: 0.361 0.333 0.274
Y: 0.363 0.330 0.780
Y: 0.364 0.996 0.108
Y: 0.366 0.669 0.442
Y: 0.367 0.002 0.612
Y: 0.370 0.655 0.942
Y: 0.372 0.661 0.243
Y: 0.383 0.653 0.746
Y: 0.859 0.494 0.111
Y: 0.859 0.827 0.577
Y: 0.862 0.498 0.613
Y: 0.864 0.830 0.279
Y: 0.865 0.490 0.408
Y: 0.865 0.831 0.068
Y: 0.866 0.826 0.779
Y: 0.871 0.155 0.246
Y: 0.873 0.154 0.937
Y: 0.873 0.166 0.441
Y: 0.879 0.160 0.748
Ta: 0.356 0.996 0.913
Ta: 0.377 0.994 0.407
Ta: 0.872 0.497 0.906
Si: 0.010 0.344 0.514
Si: 0.013 0.317 0.845
Si: 0.029 0.005 0.849
Si: 0.154 0.494 0.010
Si: 0.173 0.160 0.349
Si: 0.208 0.175 0.679
Si: 0.215 0.144 0.010
Si: 0.218 0.813 0.344
Si: 0.220 0.848 0.009
Si: 0.513 0.144 0.506
Si: 0.513 0.848 0.513
Si: 0.514 0.483 0.173
Si: 0.525 0.506 0.850
Si: 0.654 0.999 0.007
Si: 0.673 0.659 0.342
Si: 0.708 0.678 0.674
Si: 0.714 0.014 0.348
Si: 0.721 0.640 0.009
S: 0.014 0.645 0.508
S: 0.014 0.681 0.176
S: 0.015 0.980 0.176
S: 0.059 0.324 0.175
S: 0.060 0.658 0.846
S: 0.074 0.993 0.505
S: 0.166 0.826 0.677
S: 0.215 0.513 0.345
S: 0.217 0.479 0.676
S: 0.509 0.819 0.845
S: 0.519 0.178 0.177
S: 0.557 0.154 0.846
S: 0.564 0.830 0.176
S: 0.566 0.496 0.509
S: 0.666 0.326 0.674
S: 0.714 0.311 0.341
S: 0.717 0.978 0.677
S: 0.719 0.351 0.005
O: 0.001 0.075 0.799
O: 0.029 0.175 0.678
O: 0.040 0.487 0.954
O: 0.043 0.162 0.004
O: 0.045 0.852 0.010
O: 0.049 0.835 0.335
O: 0.056 0.508 0.348
O: 0.057 0.480 0.673
O: 0.057 0.505 0.066
O: 0.059 0.137 0.298
O: 0.075 0.834 0.728
O: 0.076 0.824 0.625
O: 0.092 0.176 0.409
O: 0.141 0.667 0.900
O: 0.145 0.317 0.122
O: 0.154 0.649 0.796
O: 0.155 0.327 0.226
O: 0.163 0.988 0.453
O: 0.166 0.998 0.556
O: 0.170 0.672 0.179
O: 0.171 0.652 0.508
O: 0.173 0.989 0.178
O: 0.185 0.334 0.512
O: 0.188 0.322 0.841
O: 0.211 0.004 0.851
O: 0.224 0.747 0.396
O: 0.234 0.082 0.063
O: 0.247 0.229 0.621
O: 0.247 0.565 0.294
O: 0.251 0.409 0.008
O: 0.253 0.429 0.727
O: 0.253 0.749 0.680
O: 0.256 0.577 0.005
O: 0.265 0.223 0.736
O: 0.265 0.913 0.954
O: 0.266 0.898 0.675
O: 0.267 0.070 0.355
O: 0.271 0.565 0.681
O: 0.273 0.551 0.397
+++
American Express had it right: membership has its privileges. It also has its responsibilities.
Fredrick Russell is senior pastor of the Miracle Temple Adventist Worship Center and Ministry Complex in Baltimore, Maryland.